Sunday, January 3, 2010

After much ado, I have arrived safely in Paris with four gargantuan bags in tow (one almost too heavy to check!), no comment on how many pairs of shoes and a camera, flip & laptop to record my time here.

It is a frigid 37-degrees outside, but sun was shining and so far all the Parisians have been very polite and helpful…which has been quite comical with my mom over-enunciating everything in English. Well to be fair, she did try with our cab driver who brought us to the hotel…
          Mom: How much?
          Cabbie: Soixante
          Mom looks confused, so the nice man holds up six fingers to mime 60.
          Mom: Ohhh, seis (in her Michigan accent, saays)
          Me: Mom, that’s Spanish you know…
          Cabbie laughs…but she tips well, so he’s happy.
  Mom: mare-see-bow-coo
          We all laugh. He helps us in with the massive amounts of luggage. The trip is off to a good start.

She’s going to kill me for writing that, but it was classic ; )

Tomorrow I’m going to head out to the 15eme arrondissement to find Le Cordon Bleu! Orientation is not until Tuesday, but as Paris tends to confound my sense of direction, it’s probably best to get the first experience of getting incredibly lost out of the way…plus I can’t wait to actually see it. The real deal.

Truly, I am lucky to have my mom here to help me. Anyone who knows her can vouch that she is the taskmaster, and finding an apartment for me to live in is first on the agenda. Among the laundry list is getting phone service, a French bank account, and hair dryer with the proper voltage (crucial!). I’m sure it will only continue to grow when I start school. Not to mention the small detail of learning to speak French…yes, I really know nothing other than je m'appelle, s’il vous plait & the like. Hence the title of this blog…

These calculated crystals were left in the piece by mistake:
____________
Structure and calculated PXRD pattern of Rb2YAg2Se4 (a crystal structure in Alexandria, relaxed with GGA-PBE; Cu Kα (weighted mean of Kα1 and Kα2)).

Principal peaks in the range 2θ from 10° to 90°, low angle first:
- hkl 0 0 1, d 7.883, intensity 100
- hkl 1 1 1, d 3.476, intensity 31
- hkl 3 1 -1, d 3.209, intensity 41
- hkl 1 1 -2, d 2.953, intensity 69
- hkl 3 1 -2, d 2.785, intensity 71
- hkl 3 1 1, d 2.775, intensity 70
- hkl 6 0 0, d 2.481, intensity 33
- hkl 3 1 2, d 2.268, intensity 33
- hkl 0 2 0, d 2.100, intensity 44
- hkl 3 1 3, d 1.853, intensity 39

Structure:
Cell lengths 15.713, 4.199, 8.321 Å; angles 90.00, 108.68, 90.00 degrees
Space group C2/m (No. 12)
One atom of each set of equivalent atoms:
1 Rb 0.131 0.000 0.064 [4 per cell]
2 Y 0.000 0.000 0.500 [2 per cell]
3 Ag 0.180 0.500 0.482 [4 per cell]
4 Se 0.012 0.500 0.267 [4 per cell]
5 Se 0.195 0.000 0.689 [4 per cell]

Structure and calculated PXRD pattern of RbSmAgTe2 (a crystal structure in Alexandria, relaxed with GGA-PBE; Cu Kα (weighted mean of Kα1 and Kα2)).

Principal peaks in the range 2θ from 10° to 90°, low angle first:
- hkl 1 0 0, d 8.546, intensity 100
- hkl 2 1 0, d 3.217, intensity 36
- hkl 2 0 -2, d 3.202, intensity 40
- hkl 1 1 -2, d 3.130, intensity 50
- hkl 1 1 2, d 3.020, intensity 73
- hkl 2 0 2, d 2.980, intensity 35
- hkl 2 1 -2, d 2.678, intensity 53
- hkl 2 1 2, d 2.544, intensity 50
- hkl 0 0 4, d 2.229, intensity 37
- hkl 3 1 -2, d 2.213, intensity 35

Structure:
Cell lengths 8.568, 4.888, 8.941 Å; angles 90.00, 94.11, 90.00 degrees
Space group P2/c (No. 13)
One atom of each set of equivalent atoms:
1 Rb 0.000 0.071 0.250 [2 per cell]
2 Sm 0.500 0.497 0.750 [2 per cell]
3 Ag 0.500 0.000 0.000 [2 per cell]
4 Te 0.256 0.397 0.984 [4 per cell]

Structure and calculated PXRD pattern of RbAg3Sn2 (a crystal structure in Alexandria, relaxed with GGA-PBE; Cu Kα (weighted mean of Kα1 and Kα2)).

Principal peaks in the range 2θ from 10° to 90°, low angle first:
- hkl 2 0 0, d 8.375, intensity 24
- hkl 0 0 1, d 7.631, intensity 100
- hkl 1 1 -2, d 3.125, intensity 25
- hkl 2 0 2, d 3.040, intensity 79
- hkl 5 1 -2, d 2.697, intensity 48
- hkl 0 2 0, d 2.418, intensity 58
- hkl 7 1 -1, d 2.292, intensity 46
- hkl 5 1 -3, d 2.284, intensity 47
- hkl 7 1 0, d 2.145, intensity 30
- hkl 2 2 2, d 1.892, intensity 40

Structure:
Cell lengths 18.306, 4.835, 8.339 Å; angles 90.00, 113.79, 90.00 degrees
Space group C2/m (No. 12)
One atom of each set of equivalent atoms:
1 Rb 0.166 0.000 0.087 [4 per cell]
2 Ag 0.008 0.000 0.680 [4 per cell]
3 Ag 0.087 0.500 0.648 [4 per cell]
4 Ag 0.198 0.500 0.456 [4 per cell]
5 Sn 0.032 0.500 0.203 [4 per cell]
6 Sn 0.156 0.000 0.586 [4 per cell]

Structure and calculated PXRD pattern of Rb4AgSn4 (a crystal structure in Alexandria, relaxed with GGA-PBE; Cu Kα (weighted mean of Kα1 and Kα2)).

Principal peaks in the range 2θ from 10° to 90°, low angle first:
- hkl 1 0 1, d 6.758, intensity 52
- hkl 1 1 0, d 5.202, intensity 51
____________
The piece goes on:

On that note, I guess I should add a bit of the obligatory background info: I will attend Le Cordon Bleu from 5 Jan—26 August. I will be studying both cuisine and patisserie, completing both at the superior level to earn “Le Grand Diplôme.” Following graduation, most of the students go on to do a 3 month internship, so it looks as though I will be here just shy of a year.

I will do my best update this blog as often as time allows (as long as you forgive my lack of time to edit in exchange). I have no real outline or grand plan, but I’m sure I will include photos, recipes and general info about my life here and any excursions I am lucky enough to take.

I miss you all and will definitely give a full report of how orientation goes. I also have skype, so we can talk that way for any of you that have that capability (and if you don’t, c’mon…my grandma does it, you can do it!), as well as Facebook & email, of course.

But for now, it’s off to try to get some sleep to get onto Parisian time.

Bon nuit!


  1. wow, jealous! funny... both J & K have a sibling living abroad now. congrats on LCB. love paris, would take a job there in heartbeat. enjoy. update blog when you can with pics!

    your brother-in-law's brother.

  2. Blog looks good so far, can't wait to read it everyday!!! xoxoxoxo -Ali

  3. "Mom's version" - I'm Lauren's mom and from time to time I may feel compelled to lend some color to her storytelling. Now is such time. About the taxi ride...mostly true, I must admit. To all - to be able to share this adventure with my daughter is a joyous gift. My companionship will likely provide you (the blog reader) with more chuckles in days to come. Me - I'm just here to carry the bags and execute the tasks, loving her all the way!! XXXOO - Karen Cobb "Mom" (Krissy - we miss you!)

  4. You are a brave woman! Your mom sent me the book about le Cordon Bleu, which I read, and I'd be terrified. Bonne chance and keep blogging. Lonie (Karen's friend)
